Transcribe only the lines below with the word "LiIn6Bi3" in them.

# 1
For LiIn6Bi3, the PBE geometry in Alexandria gives the calculated powder diffraction line list in this record (Cu Kα, 1.54184 Å).
No peak broadening, texture or thermal motion is included.

Main lines, sorted by position (5 to 70 degrees two-theta):
| 2θ (°) | Rel. int. | h k l |
| --- | --- | --- |
| 20.7 | 15 | 3 0 0 |
| 20.9 | 17 | 0 1 2 |
| 23.9 | 15 | 2 2 0 |
| 31.8 | 100 | 3 2 1 |
| 31.9 | 20 | 3 1 2 |
| 32.1 | 27 | 1 1 3 |
| 36.3 | 27 | 5 -3 2 |
| 38.5 | 26 | 2 2 3 |
| 43.9 | 20 | 6 -5 2 |
| 53.7 | 15 | 0 7 2 |

Cell and atoms:
```
data_LiIn6Bi3
_chemical_formula_sum 'Li6 In36 Bi18'
_cell_length_a 14.8827
_cell_length_b 14.8827
_cell_length_c 9.0284
_cell_angle_alpha 90.00
_cell_angle_beta 90.00
_cell_angle_gamma 120.00
_space_group_name_H-M_alt 'R -3'
_space_group_IT_number 148
_space_group_name_Hall '-R 3'
loop_
_atom_site_label
_atom_site_type_symbol
_atom_site_fract_x
_atom_site_fract_y
_atom_site_fract_z
_atom_site_occupancy
Li1 Li 0.0000 0.0000 0.0000 1
Li2 Li 0.0000 0.0000 0.5000 1
In1 In 0.0036 0.2470 0.4010 1
In2 In 0.0695 0.5873 0.6223 1
Bi1 Bi 0.0172 0.8585 0.2730 1
```

---

# 2
For Li2InBiO4, the PBE geometry in Alexandria gives the calculated powder diffraction line list in this record (Cu Kα, 1.54184 Å).
No peak broadening, texture or thermal motion is included.

Main lines, sorted by position (5 to 70 degrees two-theta):
| 2θ (°) | Rel. int. | h k l |
| --- | --- | --- |
| 16.3 | 38 | 1 1 0 |
| 16.5 | 100 | 1 1 -1 |
| 30.5 | 28 | 1 3 -1 |
| 32.0 | 22 | 1 1 1 |
| 32.4 | 22 | 3 1 -1 |
| 33.0 | 35 | 2 2 0 |
| 33.3 | 34 | 2 2 -2 |
| 36.4 | 29 | 0 4 0 |
| 39.1 | 24 | 0 0 2 |
| 39.7 | 23 | 4 0 -2 |

Cell and atoms:
```
data_Li2InBiO4
_chemical_formula_sum 'Li8 In4 Bi4 O16'
_cell_length_a 9.072
_cell_length_b 9.874
_cell_length_c 6.423
_cell_angle_alpha 90.00
_cell_angle_beta 134.24
_cell_angle_gamma 90.00
_space_group_name_H-M_alt 'C 1 2/c 1'
_space_group_IT_number 15
loop_
_space_group_symop_operation_xyz
'x,y,z'
'-x,-y,-z'
'-x,y,-z+1/2'
'x,-y,z+1/2'
'x+1/2,y+1/2,z'
'-x+1/2,-y+1/2,-z'
'-x+1/2,y+1/2,-z+1/2'
'x+1/2,-y+1/2,z+1/2'
loop_
_atom_site_label
_atom_site_type_symbol
_atom_site_fract_x
_atom_site_fract_y
_atom_site_fract_z
_atom_site_occupancy
Li1 Li 0.000 0.000 0.000 1
Li2 Li 0.250 0.250 0.000 1
In1 In 0.000 0.500 0.000 1
Bi1 Bi 0.250 0.250 0.500 1
O1 O 0.003 0.274 0.984 1
O2 O 0.244 0.493 0.490 1
```

For LiIn6Bi3, the PBE geometry in Alexandria gives the calculated powder diffraction line list in this record (Cu Kα, 1.54184 Å).